The Institute for the Advancement of the American Legal System and the National Center for State Courts released a new report in April, “Transforming Our Civil Justice System for the 21st Century: The Road to Civil Justice Reform.” The two groups had been working on the project jointly for three-years, finalized with this new report released April 28, according to a release from the IAALS.
“Americans deserve a civil legal process that can fairly and promptly resolve disputes for everyone — rich or poor, individuals or businesses, in matters large or small. Yet our civil justice system often fails to meet this standard. Runaway costs, delays, and complexity are undermining public confidence and denying people the justice they seek. This has to change,” the report reads.
Brittany Kauffman, senior director at IAALS said the four states covered in the report — Texas, Missouri, Maine and Idaho — contributed the momentum for reform which is now being seen across the country. “Their efforts, and the lessons learned, can help guide and inspire other courts that are implementing longer term reforms — but they are just as relevant and critical for courts dealing with changes being forced upon them by the pandemic.”
As the courts are operating under challenging circumstances and tight time frames because of the coronavirus pandemic, “while reform takes time, the need for change has accelerated,” the release states. “The experiences of the states in this report, and their utilization of our roadmap for implementation — a set of seven clear steps for courts to follow when implementing change — can provide invaluable guidance to other courts.”
“The impetus for the CJI Committee and this Report is twofold,” the report states. State courts are “well aware” of cost, delay and unpredictability of civil litigation, and reform efforts have fallen short and strained court budgets have “hampered our ability to promptly and efficiently resolve cases.”
Secondly, a handful of state court leaders took concrete steps toward change, according to the report. “They are updating court rules and procedures, using technology to empower litigants and court staff, and rethinking longstanding orthodoxies about the process for resolving civil cases. Several states, including Arizona, Colorado, New Hampshire, Minnesota, and Utah, have changed their civil rules and procedures to require mandatory disclosure of relevant documents, to curb excessive discovery, and to streamline the process for resolving discovery disputes and other routine motions.”
The report covers the implementing of change in courts across four states. The reform efforts came after the 2016 Conference of Chief Justices’ Civil Justice Improvements Committee guidelines to ensure “just, prompt, and cost-effective resolution of civil cases in state courts,” according to the release. Each state was provided with guidance and tools to support successful implementation, and then interviews of those involved, with support from IAALS, NCSC and the State Justice Institute.
“The key now is prioritization and clear timelines for change — some of which must happen immediately and others that can be staged. But, most importantly, states should build off the reforms, research, and experiences of other states,” Kauffman said, adding it is equally important to build on what is known about managing change.
As the civil courts are operating now, the people “who enter the system confront a maze-like process that costs too much and takes too long,” the report states. Three-quarters of judgments amount to less than $5,200, but the litigation costs usually “greatly exceeds that amount,” according to the report. “Small, uncomplicated matters that make up the overwhelming majority of cases can take years to resolve. Fearing the process is futile, many give up on pursuing justice altogether.”
The report also notes how private entities are stepping in, such as private judges for hire, arbitration and online legal services “which often do not require an attorney to navigate.”
The recommendations point to steps state courts can take immediately, and over the months and years to follow, to make the civil justice system more affordable, accessible and fair, according to the report. They’re crafted to work across local legal cultures and overcome financial and operational “roadblocks to change.”
“Restoring public confidence means rethinking how our courts work in fundamental ways,” the report states. The report states that citizens be the center of the system, and must be heard, respected and capable of getting just results, in theory and “everyday practice.” In this way, courts must accept new technology and procedures, and “must give each matter the resources it needs — no more, no less — and prudently shepherd the cases our system faces now.”
Providing a key framework for reform that states can follow, the report covers leadership, assessment and definition of issues, engagement of stakeholders to gain input, development of vision and goals for reform, clear recommendations and action, according to the release.
**These data records were left in the entry by mistake**
+++
# HfNb2AgCl

An optimized crystal structure of HfNb2AgCl (PBE, the Alexandria database).

Cell: 4.992 4.992 5.287 Å, 90.00 90.00 90.00°
Positions (direct):
Hf  0.000  0.000  0.000
Nb  0.000  0.500  0.000
Nb  0.500  0.000  0.000
Ag  0.000  0.000  0.500
Cl  0.500  0.500  0.500

D(E_F): 5.6 states/eV per cell
Size of the total moment: 0.00 μB per cell
Uncorrected energy: -5.447 eV/atom
Formation energy (no corrections): 1.51 eV/atom

---

# HfAgPtCl2

An optimized crystal structure of HfAgPtCl2 (PBE, the Alexandria database).

Cell: 4.715 4.715 5.783 Å, 90.00 90.00 90.00°
Positions (direct):
Hf  0.000  0.000  0.000
Ag  0.000  0.000  0.500
Pt  0.500  0.500  0.500
Cl  0.000  0.500  0.000
Cl  0.500  0.000  0.000

D(E_F): 6.0 states/eV per cell
Size of the total moment: 0.03 μB per cell
Uncorrected energy: -4.291 eV/atom
Formation energy (no corrections): 0.22 eV/atom

---

# RbHfAg2Cl8

An optimized crystal structure of RbHfAg2Cl8 (PBE, the Alexandria database).

Cell: 6.632 6.702 8.799 Å, 93.70 108.31 92.27°
Positions (direct):
Rb  0.000  0.000  0.000
Hf  0.500  0.000  0.500
Ag  0.400  0.489  0.796
Ag  0.600  0.511  0.204
Cl  0.158  0.829  0.357
Cl  0.226  0.522  0.005
Cl  0.316  0.312  0.524
Cl  0.466  0.900  0.759
Cl  0.534  0.100  0.241
Cl  0.684  0.688  0.476
Cl  0.774  0.478  0.995
Cl  0.842  0.171  0.643

D(E_F): 1.4 states/eV per cell
Size of the total moment: 0.00 μB per cell
Uncorrected energy: -3.864 eV/atom
Formation energy (no corrections): -1.25 eV/atom

---

# RbHfAgCl6

An optimized crystal structure of RbHfAgCl6 (PBE, the Alexandria database).

Cell: 6.995 6.995 14.071 Å, 90.00 90.00 120.00°
Positions (direct):
Rb  0.000  0.000  0.000
Rb  0.000  0.000  0.500
Hf  0.333  0.667  0.250
Hf  0.667  0.333  0.750
Ag  0.333  0.667  0.750
Ag  0.667  0.333  0.250
Cl  0.036  0.392  0.148
Cl  0.036  0.644  0.352
Cl  0.356  0.392  0.352
Cl  0.356  0.964  0.148
Cl  0.392  0.036  0.648
Cl  0.392  0.356  0.852
Cl  0.608  0.644  0.148
Cl  0.608  0.964  0.352
Cl  0.644  0.036  0.852
Cl  0.644  0.608  0.648
Cl  0.964  0.356  0.648
Cl  0.964  0.608  0.852

D(E_F): 0.0 states/eV per cell
Size of the total moment: 0.00 μB per cell
Uncorrected energy: -4.361 eV/atom
Formation energy (no corrections): -1.60 eV/atom

---

# Rb2HfAgCl6

An optimized crystal structure of Rb2HfAgCl6 (PBE, the Alexandria database).

Cell: 7.474 7.474 7.474 Å, 120.07 120.07 89.88°
Positions (direct):
Rb  0.250  0.750  0.500
Rb  0.750  0.250  0.500
Hf  0.000  0.000  0.000
Ag  0.500  0.500  0.000
Cl  0.238  0.238  0.000
Cl  0.238  0.238  0.477
Cl  0.238  0.762  0.000
Cl  0.762  0.238  0.000
Cl  0.762  0.762  0.000
Cl  0.762  0.762  0.523

D(E_F): 9.1 states/eV per cell
Size of the total moment: 0.99 μB per cell
Uncorrected energy: -4.090 eV/atom
Formation energy (no corrections): -1.51 eV/atom

---

# HfRe2AgCl

An optimized crystal structure of HfRe2AgCl (PBE, the Alexandria database).

Cell: 4.386 4.386 4.631 Å, 90.00 90.00 90.00°
Positions (direct):
Hf  0.000  0.000  0.000
+++
From the pilot states, the report highlights key factors for successful reform such as using an evidence-based approach, engagement with stakeholders — both of which are “essential” — and leadership not only being “from the top down,” according to the release. “States must look to the data and other available information to inform decisions, priorities and timelines.”
== Someone pasted materials data at this point ==
┌──
No. 1
Below is crystalline TlZnFeS3 at its relaxed geometry, with properties calculated at the PBE-GGA level.

Structure (POSCAR):
```
TlZnFeS3
1.0
-4.622 6.015 1.296
-1.544 -0.505 -3.161
-4.614 -8.826 3.663
S Fe Zn Tl
6 2 2 2
Cartesian
-2.994 1.398 0.240
-5.336 -6.776 0.691
-7.787 -4.713 1.558
-3.863 -3.778 1.491
-5.445 3.460 1.107
-6.917 0.463 0.307
-4.195 -5.175 -0.122
-6.585 1.860 1.920
-4.676 2.560 -1.122
-6.104 -5.875 2.920
-7.058 -2.131 2.788
-3.722 -1.185 -0.990
```

Properties
Space-group type = No. 11
Spin magnetization = 1.28 Bohr magnetons per cell
E_tot = -4.436 eV/atom

***

No. 2
Below is crystalline Lu2Sn3Mo4C3 at its relaxed geometry, with properties calculated at the PBE-GGA level.

Structure (POSCAR):
```
Lu2Sn3Mo4C3
1.0
-2.460 -5.139 0.253
2.248 -4.357 -2.914
7.954 -0.093 11.801
Mo Lu C Sn
8 4 6 6
Cartesian
4.113 -1.141 6.774
4.028 -7.432 4.967
0.791 -7.262 -1.431
0.991 -0.952 0.298
6.950 -2.327 10.571
3.628 -8.448 2.366
6.750 -8.637 8.842
3.713 -2.158 4.173
3.438 -5.167 3.003
6.659 -5.339 9.412
4.303 -4.423 6.136
1.082 -4.251 -0.273
2.637 -5.817 5.158
1.124 -2.179 -1.457
-1.304 -4.130 -0.283
2.747 -2.616 6.027
5.105 -3.773 3.982
1.091 -5.366 -2.379
1.399 -2.995 2.492
4.117 -4.400 0.116
6.342 -6.594 6.648
3.624 -5.189 9.024
6.423 -2.868 7.688
1.318 -6.722 1.452
```

Properties
Space-group type = No. 15
Spin magnetization = 0.01 Bohr magnetons per cell
E_tot = -7.944 eV/atom

***

Results for ρ: 5.1, 9.6 (in g/cm³, following the order of the records).

----------

Entry 1:
PrPaRuAu: relaxed, PBE.

Symmetry: No. 216
Energy relative to the elements (eV per atom): -0.23
E (eV per cell): -27.8

Unit cell a=5.0508 b=5.0508 c=5.0508 alpha=60.00 beta=60.00 gamma=60.00
With the nearest neighbours (Å) after each atom.
Fractional positions:
Pr 0.5000 0.5000 0.5000  4 Ru 3.09, 4 Au 3.09
Ru 0.2500 0.2500 0.2500  4 Pa 3.09, 4 Pr 3.09
Pa 0.0000 0.0000 0.0000  4 Au 3.09, 4 Ru 3.09
Au 0.7500 0.7500 0.7500  4 Pa 3.09, 4 Pr 3.09



Entry 2:
CaAlGa: relaxed, PBE.

Symmetry: No. 129
Energy relative to the elements (eV per atom): -0.42
E (eV per cell): -20.0

Unit cell a=4.2650 b=7.4156 c=4.2651 alpha=90.00 beta=90.00 gamma=90.00
With the nearest neighbours (Å) after each atom.
Fractional positions:
Ca 0.7138 0.7271 0.7838  5 Ga 3.12-3.27, 4 Al 3.26
Ca 0.2138 0.0627 0.2838  5 Ga 3.12-3.27, 4 Al 3.26
Al 0.2138 0.3949 0.7838  4 Ga 2.72, 4 Al 3.02
Al 0.7138 0.3949 0.2838  4 Ga 2.72, 4 Al 3.02
Ga 0.2138 0.6217 0.2838  4 Al 2.72
Ga 0.7138 0.1682 0.7838  4 Al 2.72



Among the records above, which one has the lowest E? PrPaRuAu



Which of these has the lowest E? PrPaRuAu



Which value of E does entry 2 give? -20.0 eV per cell



Which formula does entry 1 have? PrPaRuAu
└──
== Here the piece continues ==
There is an urgent need for change, according to the report. Court leaders must move promptly to improve caseflow management in order to control costs, reduce delays and ensure fairness for litigants, the report states. They must also embrace tools and methods which align with modern civil dockets realities. In that sense, the recommendations of the report present a broad range of practices each state can embrace to fit legal cultures and resources locally.
One aspect made clear, according to the report, is state courts cannot continue to use comfortable methods to administer justice in millions of pending civil cases. The report quotes Justice William J. Brennan’s address to the Section of Judicial Administration of the American Bar Association in 1958, “We like comfortable old shoes out of style and worn through as they may be and dread having a new pair…. None of us like to learn new ways of doing things (but) the convulsive change in society confronts our profession with the urgent challenge to get our house in order if we are to renew the public’s confidence in the American Justice system that safeguards and protects individual rights and liberties.”
“Strong leadership and bold action are needed to transform our system for the 21st century,” the report states. “With concerted action, we can realize the promise of civil justice for all.”
### Between two parts of the text: calculated crystals
-- begin --
Entry from Alexandria via LeMat-Bulk: SbTe2PdO at its PBEsol-relaxed geometry (meta-GGA SCAN).

Unit cell a=4.7520 b=4.7520 c=4.6062 alpha=90.00 beta=90.00 gamma=90.00
Space group P4/mmm (No. 123)
Unique sites:
Sb: 0.0000 0.0000 0.0000 x1
Te: 0.0000 0.5000 0.5000 x2
Pd: 0.5000 0.5000 0.0000 x1
O: 0.0000 0.0000 0.5000 x1

density of states at the Fermi level	4.1	states/eV per cell
magnetization	0.0	μB/cell
formation energy without anion corrections	0.305	eV/atom


Record 1
Computed, not measured: a geometry-optimized SrCdOs2 structure at the GGA-PBE level of DFT.

Properties
Total energy = -5.277 eV per atom
Energy of formation = 3.95 eV per formula unit
Spin magnetization = 0.57 μB per cell

The structure in POSCAR format:
```
SrCdOs2
1.0
3.047 0.000 0.000
0.000 4.992 0.000
0.000 0.000 4.997
Sr Cd Os
1 1 2
direct
0.000 0.000 0.000
0.500 0.500 0.000
0.000 0.500 0.500
0.500 0.000 0.500
```


Record 2
Computed, not measured: a geometry-optimized RbNiPt3 structure at the GGA-PBE level of DFT.

Properties
Total energy = -2.420 eV per atom
Energy of formation = 12.77 eV per formula unit
Energy above the lowest structure with this stoichiometry = 1872.8 meV per atom
Spin magnetization = 0.85 μB per cell

The structure in POSCAR format:
```
RbNiPt3
1.0
5.041 0.000 0.000
0.000 5.041 0.000
0.000 0.000 5.041
Rb Ni Pt
1 1 3
direct
0.000 0.000 0.000
0.500 0.500 0.500
0.000 0.000 0.500
0.000 0.500 0.000
0.500 0.000 0.000
```


Record 3
Computed, not measured: a geometry-optimized TaTlCu2S4 structure at the GGA-PBE level of DFT.

Properties
Total energy = -5.516 eV per atom
Energy above the lowest structure with this stoichiometry = 0.0 meV per atom
Spin magnetization = 0.00 μB per cell

The structure in POSCAR format:
```
TaTlCu2S4
1.0
7.533 0.000 0.000
0.000 9.523 2.794
0.000 -9.523 2.794
Ta Tl Cu S
2 2 4 8
direct
0.250 0.108 0.892
0.750 0.892 0.108
0.250 0.970 0.331
0.750 0.331 0.970
0.000 0.985 0.985
0.250 0.603 0.395
0.500 0.985 0.985
0.750 0.395 0.603
0.002 0.859 0.653
0.250 0.243 0.229
0.250 0.454 0.047
0.498 0.859 0.653
0.502 0.653 0.859
0.750 0.047 0.454
0.750 0.229 0.243
0.998 0.653 0.859
```


Record 4
Computed, not measured: a geometry-optimized MnPPt structure at the GGA-PBE level of DFT.

Properties
Total energy = -7.222 eV per atom
Energy of formation = -1.05 eV per formula unit
Spin magnetization = 1.45 μB per cell

The structure in POSCAR format:
```
MnPPt
1.0
0.000 2.763 2.763
2.763 0.000 2.763
2.763 2.763 0.000
Mn P Pt
1 1 1
direct
0.000 0.000 0.000
0.250 0.250 0.250
0.500 0.500 0.500
```


Record 5
Computed, not measured: a geometry-optimized Sm2ZrUN4 structure at the GGA-PBE level of DFT.

Properties
Total energy = -9.374 eV per atom
Spin magnetization = 0.12 μB per cell

The structure in POSCAR format:
```
Sm2ZrUN4
1.0
5.908 0.000 0.000
0.000 3.449 0.000
-1.945 0.000 5.698
Sm Zr U N
2 1 1 4
direct
0.000 0.000 0.000
0.500 0.500 0.000
0.000 0.500 0.500
0.500 0.000 0.500
0.246 0.000 0.715
0.262 0.500 0.284
0.738 0.500 0.716
0.754 0.000 0.285
-- stop --
— Avery Martinez